-- Work order --
Print all of the block further below without altering anything.

-- File --
********
Entry 1:
## NpGa3Tc2 (GGA-PBE)

Data for a geometry-optimized NpGa3Tc2 structure.

Lattice parameters (Å, degrees): 6.1598 8.7433 8.3037 90.00 90.00 90.00
With the nearest neighbours (Å) after each atom.
Space group Cccm (No. 66)
Asymmetric unit:
Np 0.0000 0.0000 0.2500 x4  4 Tc 2.69
Ga 0.0000 0.5000 0.2500 x4  4 Tc 2.69, 4 Ga 2.87
Ga 0.0477 0.2754 0.0000 x8  1 Ga 2.53, 4 Tc 2.58-2.67
Tc 0.2500 0.2500 0.2826 x8  6 Ga 2.58-2.69, 2 Np 2.69

Properties
ΔH_f (0 K), eV/atom: -0.0503
N(E_F), states/eV/atom: 1.553
Spin magnetization, μB per cell: 11.0
V, A^3/atom: 18.63

=====

Entry 2:
## TlAg6Te4 (GGA-PBE)

Data for a geometry-optimized TlAg6Te4 structure.

Lattice parameters (Å, degrees): 4.4015 4.4015 30.6272 90.00 90.00 90.00
With the nearest neighbours (Å) after each atom.
Space group I4/mmm (No. 139)
Asymmetric unit:
Tl 0.0000 0.0000 0.0000 x2  8 Te 3.68
Ag 0.0000 0.5000 0.1223 x8  4 Te 2.83-2.98, 4 Ag 3.11
Ag 0.0000 0.5000 0.2500 x4  4 Te 2.91, 4 Ag 3.11
Te 0.0000 0.0000 0.1880 x4  8 Ag 2.91-2.98
Te 0.0000 0.0000 0.4358 x4  4 Ag 2.83

Properties
ΔE_f (raw), eV per atom: -0.085
Energy above the lowest structure with this stoichiometry, eV per atom: 0.000
N(E_F), states/eV/atom: 0.363
Spin magnetization, μB per cell: 0.0
V, A^3/atom: 26.97

=====

Entry 3:
## AsRuCl (GGA-PBE)

Data for a geometry-optimized AsRuCl structure.

Lattice parameters (Å, degrees): 4.2758 4.2929 12.2234 90.00 90.00 90.00
With the nearest neighbours (Å) after each atom.
Space group Fmm2 (No. 42)
Asymmetric unit:
As 0.0000 0.0000 0.0000 x4  4 Ru 2.55-2.56
Ru 0.0000 0.0000 0.3856 x4  4 As 2.55-2.56, 4 Cl 2.76
Cl 0.0000 0.0000 0.7432 x4  4 Ru 2.76, 4 Cl 3.03

Properties
ΔE_f (raw), eV per atom: 0.065
Energy above the lowest structure with this stoichiometry, eV per atom: 0.204
N(E_F), states/eV/atom: 0.999
Spin magnetization, μB per cell: 0.0
V, A^3/atom: 18.70

=====

Copy entry 3 word for word.
## AsRuCl (GGA-PBE)

Data for a geometry-optimized AsRuCl structure.

Lattice parameters (Å, degrees): 4.2758 4.2929 12.2234 90.00 90.00 90.00
With the nearest neighbours (Å) after each atom.
Space group Fmm2 (No. 42)
Asymmetric unit:
As 0.0000 0.0000 0.0000 x4  4 Ru 2.55-2.56
Ru 0.0000 0.0000 0.3856 x4  4 As 2.55-2.56, 4 Cl 2.76
Cl 0.0000 0.0000 0.7432 x4  4 Ru 2.76, 4 Cl 3.03

Properties
ΔE_f (raw), eV per atom: 0.065
Energy above the lowest structure with this stoichiometry, eV per atom: 0.204
N(E_F), states/eV/atom: 0.999
Spin magnetization, μB per cell: 0.0
V, A^3/atom: 18.70
********

-- Done --
Entry 1:
## NpGa3Tc2 (GGA-PBE)

Data for a geometry-optimized NpGa3Tc2 structure.

Lattice parameters (Å, degrees): 6.1598 8.7433 8.3037 90.00 90.00 90.00
With the nearest neighbours (Å) after each atom.
Space group Cccm (No. 66)
Asymmetric unit:
Np 0.0000 0.0000 0.2500 x4  4 Tc 2.69
Ga 0.0000 0.5000 0.2500 x4  4 Tc 2.69, 4 Ga 2.87
Ga 0.0477 0.2754 0.0000 x8  1 Ga 2.53, 4 Tc 2.58-2.67
Tc 0.2500 0.2500 0.2826 x8  6 Ga 2.58-2.69, 2 Np 2.69

Properties
ΔH_f (0 K), eV/atom: -0.0503
N(E_F), states/eV/atom: 1.553
Spin magnetization, μB per cell: 11.0
V, A^3/atom: 18.63

=====

Entry 2:
## TlAg6Te4 (GGA-PBE)

Data for a geometry-optimized TlAg6Te4 structure.

Lattice parameters (Å, degrees): 4.4015 4.4015 30.6272 90.00 90.00 90.00
With the nearest neighbours (Å) after each atom.
Space group I4/mmm (No. 139)
Asymmetric unit:
Tl 0.0000 0.0000 0.0000 x2  8 Te 3.68
Ag 0.0000 0.5000 0.1223 x8  4 Te 2.83-2.98, 4 Ag 3.11
Ag 0.0000 0.5000 0.2500 x4  4 Te 2.91, 4 Ag 3.11
Te 0.0000 0.0000 0.1880 x4  8 Ag 2.91-2.98
Te 0.0000 0.0000 0.4358 x4  4 Ag 2.83

Properties
ΔE_f (raw), eV per atom: -0.085
Energy above the lowest structure with this stoichiometry, eV per atom: 0.000
N(E_F), states/eV/atom: 0.363
Spin magnetization, μB per cell: 0.0
V, A^3/atom: 26.97

=====

Entry 3:
## AsRuCl (GGA-PBE)

Data for a geometry-optimized AsRuCl structure.

Lattice parameters (Å, degrees): 4.2758 4.2929 12.2234 90.00 90.00 90.00
With the nearest neighbours (Å) after each atom.
Space group Fmm2 (No. 42)
Asymmetric unit:
As 0.0000 0.0000 0.0000 x4  4 Ru 2.55-2.56
Ru 0.0000 0.0000 0.3856 x4  4 As 2.55-2.56, 4 Cl 2.76
Cl 0.0000 0.0000 0.7432 x4  4 Ru 2.76, 4 Cl 3.03

Properties
ΔE_f (raw), eV per atom: 0.065
Energy above the lowest structure with this stoichiometry, eV per atom: 0.204
N(E_F), states/eV/atom: 0.999
Spin magnetization, μB per cell: 0.0
V, A^3/atom: 18.70

=====

Copy entry 3 word for word.
## AsRuCl (GGA-PBE)

Data for a geometry-optimized AsRuCl structure.

Lattice parameters (Å, degrees): 4.2758 4.2929 12.2234 90.00 90.00 90.00
With the nearest neighbours (Å) after each atom.
Space group Fmm2 (No. 42)
Asymmetric unit:
As 0.0000 0.0000 0.0000 x4  4 Ru 2.55-2.56
Ru 0.0000 0.0000 0.3856 x4  4 As 2.55-2.56, 4 Cl 2.76
Cl 0.0000 0.0000 0.7432 x4  4 Ru 2.76, 4 Cl 3.03

Properties
ΔE_f (raw), eV per atom: 0.065
Energy above the lowest structure with this stoichiometry, eV per atom: 0.204
N(E_F), states/eV/atom: 0.999
Spin magnetization, μB per cell: 0.0
V, A^3/atom: 18.70